Back in the mid-90s people on the newsgroups and message boards we would complain about people with AOL addresses. More recently, I think one reason Twitter is a problem today is that so many people are on the platform, and that means more stupid people are on the platform.
Another aspect I’ve noticed is the prominence of “Indian Twitter.” India is one of the top countries for the platform. Many of these people are quite dumb and inane…but most people are that way. The chart above shows how many people from India are on the internet. It strikes me that a bit of the “OMG AOL people are on the internet!” effect is going on. This too shall pass.
Note: In the last few years Bangladesh has apparently zoomed up the list of internet penetration due to various initiatives. The ranking surprised me, especially in light of the fact that Bangladesh sends very little traffic to this website even compared to Pakistan.
Indian Twitter does make it’s presence felt, often in annoying ways. Recently I saw either HBDchick or Jayman, I can’t recall which of the two, innocuously share a list of the 10 oldest continuously inhabited cities in the world, and the thread was soon filled with angry Indians complaining about why Benaras was not in the list. As far as I know, Benaras’s roots lie in the iron age, while the top cities in that list are from the neolithic or copper/bronze age.
There is no way to date Benaras or Kashi since it is continuously inhabited. Carbon dating cannot be used.
It is believed by Hindus to be very very old. Much older than Rama for example.
This is central to the dispute between Hindus and the post modernist marxist historians.
I never understand why being the most ancient civilization is a bragging point. It only shows Indians in bad light. I mean, Harappa and Mohenjodaro probably had better waste water drainage network than Delhi and Mumbai. Indians have gone backwards in 5000 years.
Scorpion Eater,
== What comes next are calculated crystals, not part of the text ==
____________
1.
This entry pairs a crystal structure of Sc4TeP3 with its theoretical PXRD pattern. Radiation: a wavelength of 1.5418 Å. Structure: a crystal structure in Alexandria, relaxed with PBE.

Top 10 peaks for 15 to 90 degrees two-theta, in order of falling intensity:
2θ (°)	I_rel
32.2	100
34.3	84
47.3	55
27.0	33
48.1	31
78.3	26
58.4	22
28.8	19
59.7	15
79.5	13

Atomic structure:
Lattice parameters (Å, degrees): 3.8428 3.8428 25.3105 90.00 90.00 120.00
Fractional coordinates of all 16 atoms:
Sc 0.0000 0.0000 0.1716
Sc 0.0000 0.0000 0.3284
Sc 0.0000 0.0000 0.6716
Sc 0.0000 0.0000 0.8284
Sc 0.3333 0.6667 0.0573
Sc 0.3333 0.6667 0.4427
Sc 0.6667 0.3333 0.5573
Sc 0.6667 0.3333 0.9427
Te 0.3333 0.6667 0.2500
Te 0.6667 0.3333 0.7500
P 0.0000 0.0000 0.0000
P 0.0000 0.0000 0.5000
P 0.3333 0.6667 0.6186
P 0.3333 0.6667 0.8814
P 0.6667 0.3333 0.1186
P 0.6667 0.3333 0.3814

2.
This entry pairs a crystal structure of Cs2DyAlSe4 with its theoretical PXRD pattern. Radiation: a wavelength of 1.5418 Å. Structure: a crystal structure in Alexandria, relaxed with PBE.

Top 10 peaks for 15 to 90 degrees two-theta, in order of falling intensity:
2θ (°)	I_rel
28.0	100
23.2	55
22.6	52
24.6	45
34.4	39
45.7	31
30.1	23
41.2	23
44.1	21
27.8	21

Atomic structure:
Lattice parameters (Å, degrees): 15.3285 13.7217 8.2136 84.71 63.05 32.25
Fractional coordinates of all 16 atoms:
Cs 0.0544 0.0544 0.6956
Cs 0.3044 0.3044 0.9456
Cs 0.6956 0.6956 0.0544
Cs 0.9456 0.9456 0.3044
Dy 0.1250 0.1250 0.1250
Dy 0.8750 0.8750 0.8750
Al 0.3750 0.3750 0.3750
Al 0.6250 0.6250 0.6250
Se 0.0095 0.6372 0.5490
Se 0.3043 0.5490 0.6372
Se 0.3628 0.9905 0.6957
Se 0.4510 0.6957 0.9905
Se 0.5490 0.3043 0.0095
Se 0.6372 0.0095 0.3043
Se 0.6957 0.4510 0.3628
Se 0.9905 0.3628 0.4510

3.
This entry pairs a crystal structure of NaLa2Pu3Se6 with its theoretical PXRD pattern. Radiation: a wavelength of 1.5418 Å. Structure: a crystal structure in Alexandria, relaxed with PBE.

Top 10 peaks for 15 to 90 degrees two-theta, in order of falling intensity:
2θ (°)	I_rel
29.9	100
42.6	38
42.9	38
53.1	20
25.9	17
70.6	17
78.4	13
70.1	11
24.8	11
62.0	8

Atomic structure:
Lattice parameters (Å, degrees): 9.4694 9.4694 8.4941 103.45 103.45 25.74
Fractional coordinates of all 12 atoms:
Na 0.0000 0.0000 0.0000
La 0.3345 0.3345 0.6687
La 0.6655 0.6655 0.3313
Pu 0.0000 0.0000 0.5000
Pu 0.3338 0.3338 0.1669
Pu 0.6662 0.6662 0.8331
Se 0.1641 0.1641 0.5898
Se 0.1680 0.1680 0.0759
Se 0.4976 0.4976 0.2556
Se 0.5024 0.5024 0.7444
Se 0.8320 0.8320 0.9241
Se 0.8359 0.8359 0.4102

4.
This entry pairs a crystal structure of Li3In8 with its theoretical PXRD pattern. Radiation: a wavelength of 1.5418 Å. Structure: a crystal structure in Alexandria, relaxed with PBE.

Top 10 peaks for 15 to 90 degrees two-theta, in order of falling intensity:
2θ (°)	I_rel
33.9	100
34.5	95
39.2	66
57.8	41
22.0	31
40.7	30
20.7	16
67.4	13
67.3	13
70.1	12

Atomic structure:
Lattice parameters (Å, degrees): 5.5454 5.5454 11.7916 102.96 102.96 47.15
____________
I agree with you that having an ancient civilization, having ancient ancestors or Jatis is not a bragging point.
The reason this matters to many is because traditionalists consider tens of thousands (perhaps over a million) of ancient books to have historical events mixed in with narrative stories, exaggeration and editing.
For the Itihasas to make any sense there had to be an ancient civilization in greater SAARC circa 10 K years ago.
Sadguru would say that many Puranic events date from 80 K years ago based on astrological evidence. {Many events in old literature have a detailed contemporary star chart.}
Some events would have had to take place even further back than that for the star chart to have actually happened.
Will they ever come a time when the Chinese interact on the wider internet scene, the Jinping-ians vs Trumpers vs Insafiyans vs Bhakts.
The Alt right-Truthers vs the Woke-Islamist vs the Middle Kingdom-ers (or whatever )
The clash of titans. Popcorns will be readied.
We’ve gotta wait for the invention of the Babel fish.
Because we Bangladeshis are careless people
The Bhakts certainly know how to do a Twitter pile-on, but to be honest, most of their arguments are virtually inadmissible in more erudite internet discourse. They are a perpetually aggrieved and conspiratorial group, and while you can act like that when you’re already in power, if you do that as the opposition you’ll just get ignored by anyone outside the choir.
• The entry is interrupted by crystal structures:
********
# TiCr7O12
Calculated X-ray diffraction stick pattern, Cu Kα (λ = 1.5418 Å). Input: a DFT-relaxed cell (GGA+U, Alexandria).
Lines closer than 0.1° are merged.

Most intense lines, 2θ from 10° to 80°, sorted by position:
(1 1 0), d = 3.730 Å, I 802
(0 2 0), d = 2.731 Å, I 1000
(-1 1 2), d = 2.720 Å, I 486
(2 0 0), d = 2.559 Å, I 863
(1 1 -2), d = 2.549 Å, I 416
(2 1 1), d = 2.240 Å, I 212
(2 -2 0), d = 1.867 Å, I 412
(0 0 4), d = 1.861 Å, I 207
(1 3 0), d = 1.714 Å, I 565
(0 2 -4), d = 1.474 Å, I 391

Structure:
a b c (Å): 5.1193 5.4815 7.4796
angles (deg): 84.53 89.66 89.97
Fractional coordinates of all 20 atoms:
Ti 0.0000 0.0000 0.0000
Cr 0.0028 0.0073 0.5028
Cr 0.0039 0.4044 0.2046
Cr 0.4992 0.9025 0.7020
Cr 0.5013 0.4972 0.0033
Cr 0.5013 0.5046 0.5037
Cr 0.5028 0.9036 0.2058
Cr 0.9990 0.4064 0.7028
O 0.1366 0.3560 0.9532
O 0.1580 0.0579 0.2558
O 0.1999 0.7057 0.6038
O 0.3013 0.2045 0.6042
O 0.3440 0.8736 0.9536
O 0.3520 0.5552 0.2549
O 0.6508 0.5549 0.7512
O 0.6534 0.8545 0.4538
O 0.7116 0.1955 0.1108
O 0.8156 0.7156 0.1074
O 0.8499 0.0514 0.7577
O 0.8519 0.3548 0.4542
********
An ur-example of this is Malhotra. As a hype man and polemicist he is solid. In the early 2000s, he managed to near-singlehandedly to change the Indian view of “Indology” from apathy/deference to antipathy, and that’s good work. But as an academic himself, he is…not up to snuff.
Part of this is natural because of modern Hindu nationalism’s roots as a broad mass-based political movement that got off the ground by circumventing institutional politics and literally taking its case to the streets. But if it’s going to go anywhere, the Hindu nationalists cannot keep acting like it’s 1990.
Is there anything in Hindu nationalist thought that is forward-thinking? That can help us solve the problems of the present and the future? I don’t see it, but maybe I’m missing something. These guys really need to come to terms with modernity. Right now, their entire ideology seems like pure reaction to me.
as implied above, language is the key issue. the chinese have their own language internet.
the reason indian twitter is visible to americans is that much of it is in english or english-fluent.
When life gives you a lemon, make a lemonade.
Too bad Indians were ruled by British, but at least we got the English language in exchange to harangue them on twitter.
We can extrapolate from this trend though that there is near 100% penetration among the English speaking Indians. So further Indian internet penetration will be among those who speak Hindi and regional languages.
Are we at the peak of “Bobs and Vegene” bubble?
The truly depressing insight about India is that it’s more than fair share of morons on Twitter and other Western social media is that they are already come from its top decile. Widening your exposure beyond it’s Anglophone elite, by say setting your location on YouTube, and taking in the tastes of it’s upper half is an eye opening experience.